# Material
- - -
## Y2NiIr (PBE)

Data for a geometry-optimized Y2NiIr structure.

Lattice parameters (Å, degrees): 4.154 3.889 10.475 90.00 90.00 90.00
Space group Amm2 (No. 38)
Asymmetric unit:
Y1 0.000 0.000 0.000 x2
Y2 0.500 0.000 0.286 x2
Ni1 0.500 0.000 0.569 x2
Ir1 0.000 0.000 0.716 x2

Output
**Density of states at the Fermi level**: 4.47 states/eV per cell
**Energy above the lowest structure with this stoichiometry**: 13.6 meV/atom
**DFT formation energy**: -0.639 eV per atom


## YNiIr2 (PBE)

Data for a geometry-optimized YNiIr2 structure.

Lattice parameters (Å, degrees): 4.011 4.011 8.181 90.00 90.00 90.00
Space group I4/mmm (No. 139)
Asymmetric unit:
Y1 0.000 0.000 0.000 x2
Ni1 0.000 0.000 0.500 x2
Ir1 0.000 0.500 0.250 x4

Output
**Density of states at the Fermi level**: 10.53 states/eV per cell
**Energy above the lowest structure with this stoichiometry**: 258.5 meV/atom
**DFT formation energy**: -0.160 eV per atom


## Y6NiIr5 (PBE)

Data for a geometry-optimized Y6NiIr5 structure.

Lattice parameters (Å, degrees): 4.782 14.356 7.072 90.00 90.00 90.00
Space group Cmmm (No. 65)
Asymmetric unit:
Y1 0.000 0.000 0.250 x4
Y2 0.000 0.333 0.249 x8
Ni1 0.000 0.500 0.000 x2
Ir1 0.000 0.165 0.000 x4
Ir2 0.000 0.167 0.500 x4
Ir3 0.000 0.500 0.500 x2

Output
**Density of states at the Fermi level**: 9.69 states/eV per cell
**DFT formation energy**: -0.728 eV per atom


## YNi2Ir (PBE)

Data for a geometry-optimized YNi2Ir structure.

Lattice parameters (Å, degrees): 4.090 4.090 7.345 90.00 90.00 90.00
Space group I4/mmm (No. 139)
Asymmetric unit:
Y1 0.000 0.000 0.000 x2
Ni1 0.000 0.500 0.250 x4
Ir1 0.000 0.000 0.500 x2

Output
**Density of states at the Fermi level**: 10.58 states/eV per cell
**Energy above the lowest structure with this stoichiometry**: 182.3 meV/atom
**DFT formation energy**: -0.211 eV per atom


## YNiIr2 (PBE)

Data for a geometry-optimized YNiIr2 structure.

Lattice parameters (Å, degrees): 2.8613 2.8613 27.4505 90.00 90.00 120.00
Space group R3m (No. 160, hexagonal axes)
Asymmetric unit:
Y1 0.0000 0.0000 0.0000 x3
Ni1 0.0000 0.0000 0.2447 x3
Ir1 0.0000 0.0000 0.5053 x3
Ir2 0.0000 0.0000 0.7601 x3

Output
**Density of states at the Fermi level**: 16.18 states/eV per cell
**Energy above the lowest structure with this stoichiometry**: 747.3 meV/atom
**DFT formation energy**: 0.329 eV per atom


## Y2NiIr (PBE)

Data for a geometry-optimized Y2NiIr structure.

Lattice parameters (Å, degrees): 6.837 6.837 6.837 90.00 90.00 90.00
Space group Fm-3m (No. 225)
Asymmetric unit:
Y1 0.250 0.250 0.250 x8
Ni1 0.000 0.000 0.000 x4
Ir1 0.000 0.000 0.500 x4

Output
**Density of states at the Fermi level**: 9.98 states/eV per cell
**Energy above the lowest structure with this stoichiometry**: 30.5 meV/atom
**DFT formation energy**: -0.622 eV per atom


## Y2NiIr (PBE)

Data for a geometry-optimized Y2NiIr structure.

Lattice parameters (Å, degrees): 4.805 4.805 3.464 90.00 90.00 90.00
Space group P4/mmm (No. 123)
Asymmetric unit:
Y1 0.000 0.500 0.000 x2
Ni1 0.000 0.000 0.500 x1
Ir1 0.500 0.500 0.500 x1

Output
**Density of states at the Fermi level**: 2.62 states/eV per cell
**Energy above the lowest structure with this stoichiometry**: 54.1 meV/atom
**DFT formation energy**: -0.599 eV per atom


## YNiIr2 (PBE)

Data for a geometry-optimized YNiIr2 structure.

Lattice parameters (Å, degrees): 3.982 3.982 4.067 90.00 90.00 90.00
Space group P4/mmm (No. 123)
Asymmetric unit:
Y1 0.000 0.000 0.000 x1
Ni1 0.500 0.500 0.000 x1
Ir1 0.000 0.500 0.500 x2

Output
**Density of states at the Fermi level**: 4.49 states/eV per cell
**Energy above the lowest structure with this stoichiometry**: 111.3 meV/atom
**DFT formation energy**: -0.307 eV per atom

=====

No. 1
The following is a PBE calculation of Y2ZrGa after structural relaxation, from Alexandria via LeMat-Bulk.

- formation energy (eV per atom) = -0.194
- M_tot (μB per atom) = 0.0000
- crystal system = tetragonal

```
data_Y2ZrGa
_cell_length_a 4.609
_cell_length_b 4.609
- - -

# Assignment
What is needed: quote everything above character by character.

# Completed
## Y2NiIr (PBE)

Data for a geometry-optimized Y2NiIr structure.

Lattice parameters (Å, degrees): 4.154 3.889 10.475 90.00 90.00 90.00
Space group Amm2 (No. 38)
Asymmetric unit:
Y1 0.000 0.000 0.000 x2
Y2 0.500 0.000 0.286 x2
Ni1 0.500 0.000 0.569 x2
Ir1 0.000 0.000 0.716 x2

Output
**Density of states at the Fermi level**: 4.47 states/eV per cell
**Energy above the lowest structure with this stoichiometry**: 13.6 meV/atom
**DFT formation energy**: -0.639 eV per atom


## YNiIr2 (PBE)

Data for a geometry-optimized YNiIr2 structure.

Lattice parameters (Å, degrees): 4.011 4.011 8.181 90.00 90.00 90.00
Space group I4/mmm (No. 139)
Asymmetric unit:
Y1 0.000 0.000 0.000 x2
Ni1 0.000 0.000 0.500 x2
Ir1 0.000 0.500 0.250 x4

Output
**Density of states at the Fermi level**: 10.53 states/eV per cell
**Energy above the lowest structure with this stoichiometry**: 258.5 meV/atom
**DFT formation energy**: -0.160 eV per atom


## Y6NiIr5 (PBE)

Data for a geometry-optimized Y6NiIr5 structure.

Lattice parameters (Å, degrees): 4.782 14.356 7.072 90.00 90.00 90.00
Space group Cmmm (No. 65)
Asymmetric unit:
Y1 0.000 0.000 0.250 x4
Y2 0.000 0.333 0.249 x8
Ni1 0.000 0.500 0.000 x2
Ir1 0.000 0.165 0.000 x4
Ir2 0.000 0.167 0.500 x4
Ir3 0.000 0.500 0.500 x2

Output
**Density of states at the Fermi level**: 9.69 states/eV per cell
**DFT formation energy**: -0.728 eV per atom


## YNi2Ir (PBE)

Data for a geometry-optimized YNi2Ir structure.

Lattice parameters (Å, degrees): 4.090 4.090 7.345 90.00 90.00 90.00
Space group I4/mmm (No. 139)
Asymmetric unit:
Y1 0.000 0.000 0.000 x2
Ni1 0.000 0.500 0.250 x4
Ir1 0.000 0.000 0.500 x2

Output
**Density of states at the Fermi level**: 10.58 states/eV per cell
**Energy above the lowest structure with this stoichiometry**: 182.3 meV/atom
**DFT formation energy**: -0.211 eV per atom


## YNiIr2 (PBE)

Data for a geometry-optimized YNiIr2 structure.

Lattice parameters (Å, degrees): 2.8613 2.8613 27.4505 90.00 90.00 120.00
Space group R3m (No. 160, hexagonal axes)
Asymmetric unit:
Y1 0.0000 0.0000 0.0000 x3
Ni1 0.0000 0.0000 0.2447 x3
Ir1 0.0000 0.0000 0.5053 x3
Ir2 0.0000 0.0000 0.7601 x3

Output
**Density of states at the Fermi level**: 16.18 states/eV per cell
**Energy above the lowest structure with this stoichiometry**: 747.3 meV/atom
**DFT formation energy**: 0.329 eV per atom


## Y2NiIr (PBE)

Data for a geometry-optimized Y2NiIr structure.

Lattice parameters (Å, degrees): 6.837 6.837 6.837 90.00 90.00 90.00
Space group Fm-3m (No. 225)
Asymmetric unit:
Y1 0.250 0.250 0.250 x8
Ni1 0.000 0.000 0.000 x4
Ir1 0.000 0.000 0.500 x4

Output
**Density of states at the Fermi level**: 9.98 states/eV per cell
**Energy above the lowest structure with this stoichiometry**: 30.5 meV/atom
**DFT formation energy**: -0.622 eV per atom


## Y2NiIr (PBE)

Data for a geometry-optimized Y2NiIr structure.

Lattice parameters (Å, degrees): 4.805 4.805 3.464 90.00 90.00 90.00
Space group P4/mmm (No. 123)
Asymmetric unit:
Y1 0.000 0.500 0.000 x2
Ni1 0.000 0.000 0.500 x1
Ir1 0.500 0.500 0.500 x1

Output
**Density of states at the Fermi level**: 2.62 states/eV per cell
**Energy above the lowest structure with this stoichiometry**: 54.1 meV/atom
**DFT formation energy**: -0.599 eV per atom


## YNiIr2 (PBE)

Data for a geometry-optimized YNiIr2 structure.

Lattice parameters (Å, degrees): 3.982 3.982 4.067 90.00 90.00 90.00
Space group P4/mmm (No. 123)
Asymmetric unit:
Y1 0.000 0.000 0.000 x1
Ni1 0.500 0.500 0.000 x1
Ir1 0.000 0.500 0.500 x2

Output
**Density of states at the Fermi level**: 4.49 states/eV per cell
**Energy above the lowest structure with this stoichiometry**: 111.3 meV/atom
**DFT formation energy**: -0.307 eV per atom

=====

No. 1
The following is a PBE calculation of Y2ZrGa after structural relaxation, from Alexandria via LeMat-Bulk.

- formation energy (eV per atom) = -0.194
- M_tot (μB per atom) = 0.0000
- crystal system = tetragonal

```
data_Y2ZrGa
_cell_length_a 4.609
_cell_length_b 4.609